**Given**
(1)
ORCA calculation (wB97M-V/def2-TZVPD) on one molecule with the formula CH2ClI in a non-equilibrium geometry.

```
5
Properties=species:S:1:pos:R:3:forces:R:3
I 2.692 0.140 -0.050 -2.287 0.325 -0.275
Cl -0.251 2.107 -0.012 0.133 0.083 0.033
C 0.224 0.456 -0.018 1.768 -0.551 -0.113
H -0.269 -0.090 -0.823 0.658 0.088 -0.041
H 0.132 -0.031 0.930 -0.271 0.055 0.396
```
Positions in Å, forces in eV/Å.

SMILES: ClCI
HOMO-LUMO gap: 8.7 eV
largest force on an atom: 2.33 eV/A
energy above the lowest of the compared OMol25 structures with the same formula, charge and spin: 31.4 kJ/mol
lowest unoccupied orbital energy: -1.0 eV

(2)
ORCA calculation (wB97M-V/def2-TZVPD) on one molecule with the formula CH2ClI in a non-equilibrium geometry.

```
5
Properties=species:S:1:pos:R:3:forces:R:3
I -0.939 -0.312 -0.028 0.756 -0.463 0.325
Cl -3.567 0.830 0.027 0.782 -0.086 -0.191
C 1.175 -0.354 0.080 -2.209 -1.110 -2.559
H 1.517 0.358 0.712 1.185 1.875 2.329
H 1.815 -0.521 -0.792 -0.514 -0.217 0.095
```
Positions in Å, forces in eV/Å.

HOMO-LUMO gap (spin up / spin down): 8.5 / 5.9 eV
largest force on an atom: 3.56 eV/A
energy above the lowest of the compared OMol25 structures with the same formula, charge and spin: 295.7 kJ/mol
lowest unoccupied orbital energy (spin up / spin down): -1.7 / -3.5 eV

(3)
ORCA calculation (wB97M-V/def2-TZVPD) on an isolated ion of composition CH2ClN2O2 and charge -1 in a non-equilibrium geometry.

```
8
Properties=species:S:1:pos:R:3:forces:R:3
Cl -1.487 -1.641 -0.118 0.159 -0.423 -0.344
O 2.447 0.285 0.359 2.169 -0.018 0.674
O 1.179 -0.147 -1.303 -0.957 -0.346 0.225
N 1.323 0.099 -0.072 -0.119 0.845 -1.052
N 0.381 0.305 0.789 -4.058 -1.211 -0.015
C -1.017 0.069 0.189 1.396 2.539 0.638
H -0.947 0.677 -0.816 -1.000 -1.438 1.742
H -1.880 0.351 0.972 2.411 0.052 -1.867
```
Positions in Å, forces in eV/Å.

SMILES: [O-][N+]([O-])=NCCl
HOMO-LUMO gap: 8.3 eV
largest force on an atom: 4.24 eV/A
energy above the lowest of the compared OMol25 structures with the same formula, charge and spin: 118.4 kJ/mol
lowest unoccupied orbital energy: 3.9 eV
total charge: -1

(4)
ORCA calculation (wB97M-V/def2-TZVPD) on CH2ClNO2S as an isolated structure in a non-equilibrium geometry.

```
8
Properties=species:S:1:pos:R:3:forces:R:3
Cl -1.296 -0.560 -1.801 -1.036 0.696 0.297
S 0.897 -1.701 -0.948 2.555 3.470 3.464
O 0.396 -2.339 0.259 0.067 -0.135 -1.336
O 1.622 -0.406 -0.577 -1.810 -3.680 -1.795
N -0.647 1.337 0.314 1.569 0.689 3.454
C -0.070 1.541 1.309 -2.792 -0.853 -4.823
H 0.406 1.824 2.166 1.122 0.414 1.822
H -1.308 0.304 -0.722 0.324 -0.602 -1.084
```
Positions in Å, forces in eV/Å.

HOMO-LUMO gap: 10.2 eV
largest force on an atom: 5.64 eV/A
energy above the lowest of the compared OMol25 structures with the same formula, charge and spin: 172.9 kJ/mol
lowest unoccupied orbital energy: -0.6 eV

(5)
ORCA calculation (wB97M-V/def2-TZVPD) on a 2-piece molecular cluster, CH2ClNS overall.

```
6
Properties=species:S:1:pos:R:3:forces:R:3
Cl -0.523 1.627 -1.016 -0.031 -0.925 -0.134
S 1.887 0.143 1.473 0.743 0.523 -0.338
N -0.758 -0.058 -0.611 0.119 -0.182 0.497
C 0.774 -0.627 2.141 -0.646 -0.509 0.440
H -1.463 -0.485 -1.192 -0.379 0.508 -0.394
H 0.084 -0.599 -0.795 0.194 0.583 -0.071
```
Positions in Å, forces in eV/Å.

HOMO-LUMO gap: 9.9 eV
largest force on an atom: 0.97 eV/A
energy above the lowest of the compared OMol25 structures with the same formula, charge and spin: 299.9 kJ/mol
lowest unoccupied orbital energy: 0.1 eV

(6)
ORCA calculation (wB97M-V/def2-TZVPD) on a 2-piece molecular cluster, CH2ClO2P overall in a non-equilibrium geometry.

```
7
Properties=species:S:1:pos:R:3:forces:R:3
Cl 1.648 -2.038 -0.027 -0.079 0.081 0.228
P -1.621 -0.159 -0.809 0.067 -0.674 -0.327
O -2.278 -1.381 0.261 -0.468 1.077 0.624
O -1.594 0.521 0.742 -0.994 -0.062 1.266
C -2.212 -0.524 1.275 1.686 0.375 -5.098
H 0.933 -1.375 0.814 0.144 -0.114 -0.235
H -2.249 -0.777 2.241 -0.355 -0.684 3.543
```
Positions in Å, forces in eV/Å.

SMILES: O1C2OP12.Cl
**What to do**
Now count the lines earlier on that contain the word "CH2ClNS" and give the number alone.
**Response**
1